Brief >
The reader should find the line underneath that holds "-8.01813 9.81167", then set down that line and all lines after it there.

Material >
8 unconnected molecules or ions with the total composition C27H74N10O12 in a non-equilibrium geometry, computed with the ωB97M-V functional and the def2-TZVPD basis.

Geometry (Å):
C1 -18.10784 -3.86688 7.38065
O1 -17.51848 -2.69217 6.81240
C2 -18.24751 -2.26641 5.72404
C3 -17.33790 -1.40039 4.76347
N1 -16.26155 -2.22781 4.18613
C4 -15.69458 -1.63973 3.01147
C5 -14.92709 -2.85444 2.35639
O2 -14.02281 -3.38965 3.28217
C6 -13.09472 -4.24288 2.59625
H1 -17.56103 -4.10967 8.27041
H2 -18.00077 -4.66646 6.69034
H3 -19.13924 -3.72703 7.63470
H4 -19.00569 -1.50036 6.00492
H5 -18.67000 -3.20695 5.27688
H6 -17.02256 -0.47825 5.25781
H7 -18.03924 -1.07325 3.97712
H8 -15.57530 -2.42342 4.93696
H9 -15.14530 -0.69204 3.11989
H10 -16.47217 -1.41885 2.31692
H11 -14.40527 -2.49257 1.48345
H12 -15.64635 -3.59727 2.02234
H13 -12.60973 -3.74489 1.74250
H14 -13.57118 -5.15171 2.22240
H15 -12.39603 -4.57888 3.34924
C7 -16.42924 -9.67978 8.66884
O3 -17.13627 -8.51107 8.69583
C8 -18.00303 -8.22756 7.52017
C9 -19.23095 -7.35114 7.98885
N2 -20.11806 -8.02900 8.95086
C10 -19.69802 -7.93739 10.33163
C11 -20.76504 -8.28944 11.37648
O4 -21.87632 -7.41526 11.29244
C12 -22.96959 -7.79059 12.05820
H16 -17.13827 -10.50074 8.76251
H17 -15.74382 -9.63857 9.48232
H18 -15.86467 -9.85781 7.75014
H19 -18.40275 -9.18630 7.06650
H20 -17.42511 -7.65976 6.78952
H21 -19.74943 -6.97361 7.15996
H22 -18.67615 -6.57260 8.54984
H23 -21.06620 -7.84373 8.70841
H24 -19.29767 -6.86808 10.47299
H25 -18.84628 -8.57333 10.53438
H26 -20.41729 -8.36418 12.40236
H27 -21.23066 -9.25683 11.10807
H28 -23.78476 -7.12019 11.82430
H29 -22.73182 -7.66922 13.11206
H30 -23.38683 -8.76650 11.96452
C13 -18.96721 0.72969 7.82038
O5 -19.37818 0.03318 8.97999
C14 -18.20172 0.02449 9.82736
C15 -18.50650 -1.00213 10.97547
N3 -18.52683 -2.28442 10.34530
C16 -18.68275 -3.45973 11.25611
C17 -19.95953 -3.55267 12.08290
O6 -21.04083 -3.57048 11.12551
C18 -22.31419 -3.81397 11.80572
H31 -18.30718 1.56317 8.06578
H32 -19.86426 1.16900 7.35433
H33 -18.39868 0.11666 7.12653
H34 -18.03536 1.00180 10.21941
H35 -17.29725 -0.30005 9.26275
H36 -19.52437 -0.69048 11.38051
H37 -17.83183 -1.09693 11.81819
H38 -19.29025 -2.29450 9.65881
H39 -17.78273 -3.46929 11.94448
H40 -18.64682 -4.32498 10.59458
H41 -20.13987 -2.74216 12.77998
H42 -19.88576 -4.53202 12.54011
H43 -22.14067 -4.71126 12.41340
H44 -23.09276 -3.93556 11.05356
H45 -22.56061 -2.92762 12.46883
C19 -28.14094 -10.52174 8.92561
O7 -27.21601 -9.77962 9.67684
C20 -27.37855 -8.40629 9.45552
C21 -26.23980 -7.63749 10.09851
N4 -26.30508 -6.22657 9.58996
C22 -25.52567 -5.97901 8.42656
C23 -25.35157 -4.52093 8.18537
O8 -24.77182 -3.87422 9.28464
C24 -24.63427 -2.44653 9.16856
H46 -28.04870 -11.58241 9.10902
H47 -27.96292 -10.34044 7.86077
H48 -29.16651 -10.24511 9.13776
H49 -28.38832 -8.01813 9.81167
H50 -27.30831 -8.18147 8.37698
H51 -25.26553 -8.08376 9.91102
H52 -26.40012 -7.63292 11.15007
H53 -25.96242 -5.61052 10.33728
H54 -26.12526 -6.33711 7.55824
H55 -24.55609 -6.45409 8.39824
H56 -26.36619 -4.12475 7.92921
H57 -24.70728 -4.39107 7.28416
H58 -25.62994 -1.95702 9.13355
H59 -23.98933 -2.22338 8.34043
H60 -24.14526 -2.14980 10.11016
O9 -21.33299 -1.87675 8.83800
H61 -20.83024 -1.05610 8.94650
H62 -21.38779 -2.21655 9.74260
C25 -23.79411 -4.86458 3.58895
O10 -22.61237 -4.43974 3.53614
N5 -24.61675 -4.60185 2.55657
N6 -24.20602 -5.63257 4.65297
H63 -25.59999 -4.87934 2.53536
H64 -24.23990 -3.96537 1.86868
H65 -23.47464 -5.94138 5.29494
H66 -25.17919 -5.82606 4.82742
C26 -21.98991 -0.79082 5.11458
O11 -21.07269 -0.05079 5.44732
N7 -23.34276 -0.46701 5.44055
N8 -21.75625 -1.84570 4.27709
H67 -24.05914 -1.22779 5.38153
H68 -23.59929 0.15296 6.17924
H69 -22.42699 -2.50892 3.93411
H70 -20.79089 -2.18325 4.22732
C27 -21.89055 -5.20796 7.22983
O12 -22.38021 -6.23808 6.87143
N9 -21.26673 -5.02914 8.50981
N10 -21.59474 -4.21977 6.32826
H71 -20.94209 -4.15748 8.90609
H72 -21.60015 -5.68819 9.20144
H73 -21.37381 -3.31649 6.72229
H74 -21.75995 -4.46889 5.33077

Properties

Result >
H49 -28.38832 -8.01813 9.81167
H50 -27.30831 -8.18147 8.37698
H51 -25.26553 -8.08376 9.91102
H52 -26.40012 -7.63292 11.15007
H53 -25.96242 -5.61052 10.33728
H54 -26.12526 -6.33711 7.55824
H55 -24.55609 -6.45409 8.39824
H56 -26.36619 -4.12475 7.92921
H57 -24.70728 -4.39107 7.28416
H58 -25.62994 -1.95702 9.13355
H59 -23.98933 -2.22338 8.34043
H60 -24.14526 -2.14980 10.11016
O9 -21.33299 -1.87675 8.83800
H61 -20.83024 -1.05610 8.94650
H62 -21.38779 -2.21655 9.74260
C25 -23.79411 -4.86458 3.58895
O10 -22.61237 -4.43974 3.53614
N5 -24.61675 -4.60185 2.55657
N6 -24.20602 -5.63257 4.65297
H63 -25.59999 -4.87934 2.53536
H64 -24.23990 -3.96537 1.86868
H65 -23.47464 -5.94138 5.29494
H66 -25.17919 -5.82606 4.82742
C26 -21.98991 -0.79082 5.11458
O11 -21.07269 -0.05079 5.44732
N7 -23.34276 -0.46701 5.44055
N8 -21.75625 -1.84570 4.27709
H67 -24.05914 -1.22779 5.38153
H68 -23.59929 0.15296 6.17924
H69 -22.42699 -2.50892 3.93411
H70 -20.79089 -2.18325 4.22732
C27 -21.89055 -5.20796 7.22983
O12 -22.38021 -6.23808 6.87143
N9 -21.26673 -5.02914 8.50981
N10 -21.59474 -4.21977 6.32826
H71 -20.94209 -4.15748 8.90609
H72 -21.60015 -5.68819 9.20144
H73 -21.37381 -3.31649 6.72229
H74 -21.75995 -4.46889 5.33077

Properties